Given
The following is a DFT calculation (GGA-PBE) of a relaxed YCoB4 crystal. Values from VASP.

Computed properties:
For the polymorph energy (0 for the lowest one), the calculation gives 255 meV/atom. As for the magnetic moment: 0.005 μB/f.u.

```
&SYSTEM
  ibrav = 0, nat = 6, ntyp = 3
/
ATOMIC_SPECIES
Y 88.91 Y.upf
Co 58.93 Co.upf
B 10.81 B.upf
CELL_PARAMETERS angstrom
3.1658 0.0000 0.0000
-1.5829 2.7417 0.0000
0.0000 0.0000 6.4757
ATOMIC_POSITIONS angstrom
Y 0.0000 0.0000 0.0000
Co 0.0000 0.0000 3.2378
B 0.0000 1.8278 1.9491
B 0.0000 1.8278 4.5266
B 1.5829 0.9139 1.9491
B 1.5829 0.9139 4.5266
```

Request
It remains to type out the part of the calculation results further above that starts with the line with "ATOMIC_SPECIES" and stops after the one with "ATOMIC_POSITIONS angstrom".

Outcome
ATOMIC_SPECIES
Y 88.91 Y.upf
Co 58.93 Co.upf
B 10.81 B.upf
CELL_PARAMETERS angstrom
3.1658 0.0000 0.0000
-1.5829 2.7417 0.0000
0.0000 0.0000 6.4757
ATOMIC_POSITIONS angstrom